Have you heard the one about the 'one-time fix' that's been fixin' things for seven or ten years?... Chicago education officials again claim what they call a 'structural deficit'. What they mean is they are again refusing to raise taxes on the 'One percent' to pay for Chicago's schools
Every news organization in Chicago began trying, by the morning of July 3, 2014, to explain the latest Chicago Public Schools "budget" in which a "deficit" has once again disappeared, in which the mayor claims to have reduced "central office" by three quarters of a billion dollars in less than four years (!), and where the Big Bad Woilf at the door is always teachers' pensions.
Chicago Public Schools "Chief Executive Officer" Barbara Byrd Bennett has been in office for less than two years and knows little more about the massive CPS budget than the talking points she rehearses with the Board's "Communications" department before talking, reluctantly and never in person, with the city's press corps. Byrd Bennett's predecessors have been Jean-Claude Brizard (2011 - 2012), Terry Mazany (interim, 2010 - 2011), Ron Huberman (2009 - 2010), and Arne Duncan (2001 - 2009). The school system's financial affairs has likewise been subject to what critics call "Management Musical Chairs" since the beginning of the 21st Century. Substance photo by David Vance. And so, for the tenth time in ten years, budget officials and the "Chief Executive Officer" of the nation's third largest school system put on their Chicken Little costumes and assured members of the press that Chicago Public Schools faces a "structural deficit." That, they refuse to define in any serious way, resorting to convoluted explanations about "accounting rules" and so-called "one-time fixes" that keep happening year after year.
The one thing that's been consistent since before September 11 is the claim that the culprits are (a) the Chicago Teachers Pension Fund and (b) Illinois state officials.
-- Not the refusal of Chicago to find ways to pay for its public schools.
The teacher pensions of Chicago are to blame for the so-called "structural deficit" because Chicago promised to pay pensions when teachers retire, but is now trying to create a "pension crisis" by refusing to pay for them.
The State of Illinois is to blame because, according to CPS officials, Illinois should be paying lots more for Chicago's public schools.
The current Chicago Public Schools "Chief Financial Officer" is Ginger Ostro, who had been serving as budget director prior to her promotion at the May 2014 Board meeting. Above, Ostro answers questions at the April 2014 Board meeting. Substance photo by George N. Schmidt.Left out of the narrative, as usual, is the fact that Chicago taxes are now among the lowest in the Chicago area. That leaves every unit of government in the city facing austerity claims by the mayor and most of those who report reality through the media. Even the Civic Federation, which usually sides with the mayor's version of reality, has published a major repor ton how low Chicago taxes are by comparison with the majority of the city's suburbs.
But the fact is that CPS officials are refusing, as they have for the entire Century, to consider local sources of revenue to improve the finances of the city's public schools. That would ease or even erase what they continue calling that "structural deficit."
The Chicago Board of Education is supposed to reveal its proposed budget for the next fiscal year before the last one ends, and hold public hearings on that proposed budget before the Board of Education votes to make that budget a final budget. But the Board met on June 25, 2014 and nobody in the administration even mentioned the Fiscal 2015 budget, which is supposed to go from July 1, 2014 through June 30, 2015. In fact, at the time the five members of the Board were holding their June 25, 2014 meeting, the Board's most recent "Chief Financial Officer" has left, to be replaced by another one, the fifth or sixth in seven or eight years. And for reasons that she was never asked to explain at the June 25 Board meeting, the most recent "Chief Executive Officer" of the nation's third largest school system, Barbara Byrd Bennett, failed to mention the budget throughout the entire June 25 meeting of her Board.
And so the FY 2014 budget expired on June 30, 2014 and the Board, once again, entered its new fiscal year with a patchwork (which was buried in the 300-page agenda for the June 25 meeting).
Two days into the new fiscal year, CPS "Communications" officials called some (not all) reporters and news organizations to announce, breathlessly, that they would be holding a semi-secret press briefing by telephone to explain all that budget stuff. No TV cameras. No face-to-face questions. And by invitation only, and that a half hour before everyrone was supposed to call in and ask questions, sort of. (Disclosure: Substance was not told about the secret briefing, but learned about it and participated). Admittedly, the CPS officials trying to conduct the briefing on the largest single education budget in the Midwest were challenged. The latest "Chief Financial Officer" has only been in office less than two months (although she was "Budget Chief" for a time before that). The former "Chief Financial Officer" had disappeared (as had his five most recent predecessors). The other top budget official, the "Controller," has been in office one week. The "Chief Executive Officer" has been in power less than two years. And the Communications people who try to manipulate the press corp of Chicago with talking points are also rookies.
(1)
Theoretical powder diffractogram
Compound: Rb3PmU2O9
Radiation: Cu Kα, 1.54184 Å
Structure: the PBE geometry in Alexandria
Intensities are scaled so that the largest is 100.

```
Rb3PmU2O9
1.0
6.220 0.000 0.000
-3.110 5.386 0.000
0.000 0.000 7.616
Rb Pm U O
3 1 2 9
direct
0.000 0.000 0.000
0.333 0.667 0.663
0.667 0.333 0.337
0.000 0.000 0.500
0.333 0.667 0.163
0.667 0.333 0.837
0.000 0.500 0.000
0.178 0.356 0.317
0.178 0.822 0.317
0.356 0.178 0.683
0.500 0.000 0.000
0.500 0.500 0.000
0.644 0.822 0.317
0.822 0.178 0.683
0.822 0.644 0.683
```

Top 10 peaks for 2θ from 10° to 90°, by angle:
Position (°2θ)  I (rel.)
20.2  28
28.7  100
41.0  29
46.2  13
50.9  42
59.4  19
63.5  6
67.3  19
74.8  6
82.0  23

---

(2)
Theoretical powder diffractogram
Compound: TbTiGa2Ni5
Radiation: Cu Kα, 1.54184 Å
Structure: the PBE geometry in Alexandria
Intensities are scaled so that the largest is 100.

```
TbTiGa2Ni5
1.0
3.797 0.000 0.000
0.000 3.797 0.000
0.000 0.000 9.060
Tb Ti Ga Ni
1 1 2 5
direct
0.000 0.000 0.000
0.000 0.000 0.500
0.500 0.500 0.369
0.500 0.500 0.631
0.000 0.500 0.220
0.000 0.500 0.780
0.500 0.000 0.220
0.500 0.000 0.780
0.500 0.500 0.000
```

Top 10 peaks for 2θ from 10° to 90°, by angle:
Position (°2θ)  I (rel.)
25.4  25
30.7  17
39.0  100
45.2  48
46.7  19
47.9  50
70.1  15
72.1  13
83.3  20
87.4  14

---

(3)
Theoretical powder diffractogram
Compound: Rb4Th3CuTe8
Radiation: Cu Kα, 1.54184 Å
Structure: the PBE geometry in Alexandria
Intensities are scaled so that the largest is 100.

```
Rb4Th3CuTe8
1.0
7.933 -4.538 0.000
7.933 4.538 0.000
-5.298 0.000 8.554
Rb Th Cu Te
4 3 1 8
direct
0.000 0.000 0.000
0.000 0.500 0.000
0.500 0.000 0.000
0.500 0.500 0.000
0.000 0.000 0.500
0.000 0.500 0.500
0.500 0.000 0.500
0.500 0.500 0.500
0.237 0.237 0.711
0.244 0.724 0.693
0.269 0.269 0.301
0.276 0.756 0.307
0.724 0.244 0.693
0.731 0.731 0.699
0.756 0.276 0.307
0.763 0.763 0.289
```

Top 10 peaks for 2θ from 10° to 90°, by angle:
Position (°2θ)  I (rel.)
10.3  52
26.4  51
26.5  100
33.4  16
36.0  17
36.1  34
39.4  38
39.7  19
45.2  11
48.4  20

---

(4)
Theoretical powder diffractogram
Compound: BaLiMo3
Radiation: Cu Kα, 1.54184 Å
Structure: the PBE geometry in Alexandria
Intensities are scaled so that the largest is 100.

```
BaLiMo3
1.0
4.691 0.000 0.000
0.000 4.691 0.000
0.000 0.000 4.691
Ba Li Mo
1 1 3
direct
0.000 0.000 0.000
0.500 0.500 0.500
0.000 0.500 0.500
0.500 0.000 0.500
0.500 0.500 0.000
```

Top 10 peaks for 2θ from 10° to 90°, by angle:
Position (°2θ)  I (rel.)
18.9  1
26.9  2
33.1  100
38.4  52
43.1  1
47.5  1
55.4  35
66.1  39
69.4  12
82.2  6

---

(5)
Theoretical powder diffractogram
Compound: Y2Mg5
Radiation: Cu Kα, 1.54184 Å
Structure: the PBE geometry in Alexandria
Intensities are scaled so that the largest is 100.

```
Y2Mg5
1.0
-4.219 6.892 3.163
4.219 -6.892 3.163
4.219 6.892 -3.163
Y Mg
4 10
direct
0.087 0.157 0.245
0.413 0.657 0.070
0.587 0.343 0.930
0.913 0.843 0.755
0.029 0.750 0.279
0.145 0.772 0.917
0.250 0.750 0.500
Peter Rodgers (above, in October 2012) served less than two years as "Chief Financial Officer" of Chicago Public Schools. Before coming to CPS for his brief term, Rodgers had been a corporate executive. The Chicago Board of Education accepted his resignation in May 2014. Substance photo by George N. Schmidt.So when the questions got specific, it was no surprise that nobody could really answer them, and the two people doing the most talking -- the latest Chief Executive Officer Barbara Byrd Bennett and the latest Chief Financial Officer Ginger Ostro -- just kept circling back to their two talking points, trying desperately to maintain message discipline about $6 billion in public money and the education of more than 400,000 children.
"The structural deficit is caused by the pension crisis..."
They repeated.
"The structural deficit is all the fault of Springfield," they intoned.
The churning of executives in the top ranks of Chicago's public schools has not yet been seen as a scandal by the city's corporate media or pundits. But a relevant comparison is with the stability in the Chicago Teachers Union, which has emerged as the best informed critic of the churning and of the incompetence that has resulted in the management of the nation's third largest school system.
And so, as soon as they learned that CPS was holding a secret press briefing about its latest version of the budget and "structural deficit," the union's leaders issued a brief press release. That stated:
July 2, 2014. Regarding the New CPS Budget
CHICAGO The Chicago Teachers Union today released the following statement regarding the Chicago Public Schools briefing with reporters on the school budget for the new fiscal year:
Two months after Karen Lewis became President of the Chicago Teachers Union, then-Chief Financial Officer Diana Ferguson (above) chaired the annual budget hearings. Above, Ferguson is seen sitting at Lane Technical High School, where one of the hearings was held (on August 21, 2010). in answer to most questions from citizens about the $5 billion budget, Ferguson and her staff told people "We will get back to you on that" -- and never did. The same verbal dodge continues into the summer of 2014, but there have been three CFOs since Ferguson, and the Board of Education has also gutted the mid-level technical staff who once held up what was left of the integrity of CPS financial materials. Substance photo by George N. Schmidt. CTU has not seen the full CPS budget prior to its briefing with reporters this afternoon and therefore we have not fully analyzed any information theyve released in advance of any such presentation to its teachers and other school personnel. The one part of the budget that we are aware of is the per-student funding formula which we believe is too low and continues to starve schools of resources. This puts our principals in situations where they have to decide whether to fire veteran teachers or cut vital programs such as art, music, library, vocational training and world languages.
The Chicago Teachers Union will release a more critical analysis of the new budget after weve had time to study their plan and determine if it helps move our district into the 21st Century where every child has access to an equitable and high-quality education.
Left out of the CTU release is that the union has been under the same leadership for four brief years, while the school board has churned its way through four "Chief Financial Officers," four "Chief Executive Officers" and dozens of lesser executives, almost all of whom were installed at six-figure salaries without producing anything like educational experience or credentials. In addition to the churning of people, CPS has also begun a process of giving exotic titles to some of its executives.
America's third largest public school system, for example, is the only one to have had (briefly) a "Chief Portfolio Officer." The human resources head has "rebranded" her department three times since Karen Lewis and the CTU leadership took office on July 1, 2014. Alicia Winckler is currently known as the "Chief Talent Officer", but in previous iterations, she was "Chief Human Resources Officer" and "Chief Human Capital Officer."
CPS also at the present time sports a "Chief Officer for Innovation and Incubation" and a "Chief Transformation Officer." All of those people came to the education side of things from corporate America. The most significant credential needed to be a highly paid executive in Chicago's public school system today is an MBA. Even the "Chief of Security and Safety" was hired mainly because she has a business degree. Prior to her taking office since Rahm Emanuel became mayor, she had no experience in PreK - 12 education.
By August 19, 2010, Diana Ferguson had called on two substitutes to do the budget hearing held at Corliss High School. Above, Melanie Shaker (center) and Christina Herzog (right) non-answer questions about the FY 2011 budget, which CPS officials assured the public was facing problems because of a "structural deficit" and the perils of the pensions. Shaker left CPS by 2013. Herzog by 2014 became the longest-serving to ranking CPS budget official, although she was no longer employed by CPS. Herzog by July 2014 was a $100,000 per year consultant who appears regularly at the Board of Education meetings and is expected to try and help the current crop of rookie budget people during the July 2014 budget hearings. Substance photo by George N. Schmidt.One of the ways in which CPS keeps some of its financial information straight after having purged the ranks of specialists in the central office budget offices. Several offices are required to maintain the financial affairs of a school system serving 400,000 children, with more than 40,000 regular workers and a large number of people working in the charter schools off the regular books. Because of the CPS purges of necessary technical workers and specialists (under the guise of "reducing central office"), CPS winds up paying consultants, some of whom are former employees, six-figure consultant deals to maintain some of the necessary work within the financial offices. Among these are Buzz Sawyer and Christina Herzog, both of whom once worked full-time for CPS and who now serve as consultants.
By: George N. Schmidt
Attached: records of crystals =
+++
Record 1
Starting from the PBE geometry in Alexandria, the PXRD pattern of Nd6SnBr8 was computed for Cu Kα.
Lines closer than 0.1° are merged.

Cell: 7.2749 7.2749 33.2639 Å, 90.00 90.00 120.00°
Space group R-3 (No. 148, hexagonal axes)
One atom of each set of equivalent atoms:
Nd: 0.0003 0.3434 0.4467 x18
Sn: 0.0000 0.0000 0.5000 x3
Br: 0.0000 0.0000 0.1666 x6
Br: 0.0002 0.3227 0.6091 x18

Largest 10 diffraction maxima, in order of falling intensity, 2θ from 10° to 90°:
(1 1 6), 29.37°, I = 100.0; (2 -1 12), 40.93°, I = 38.7; (3 0 0), 43.07°, I = 32.5; (4 -2 6), 52.99°, I = 18.5; (3 0 18), 67.52°, I = 16.2; (4 1 6), 70.58°, I = 15.3; (2 2 12), 60.92°, I = 11.6; (5 -1 12), 77.50°, I = 11.4; (1 1 9), 34.60°, I = 11.0; (1 1 3), 25.78°, I = 9.0

***

Record 2
Starting from the PBE geometry in Alexandria, the PXRD pattern of ZrBe3Ni10 was computed for Cu Kα.
Lines closer than 0.1° are merged.

Cell: 10.800 10.800 10.800 Å, 90.00 90.00 90.00°
Space group Fm-3m (No. 225)
One atom of each set of equivalent atoms:
Zr: 0.250 0.250 0.250 x8
Be: 0.000 0.000 0.229 x24
Ni: 0.000 0.171 0.329 x48
Ni: 0.117 0.117 0.117 x32

Largest 10 diffraction maxima, in order of falling intensity, 2θ from 10° to 90°:
(3 3 3), 43.54°, I = 100.0; (4 2 0), 37.23°, I = 58.8; (5 3 1), 49.96°, I = 46.2; (4 2 2), 40.94°, I = 33.2; (6 6 0), 74.55°, I = 27.0; (4 4 0), 47.63°, I = 24.4; (8 4 4), 88.75°, I = 18.0; (6 2 2), 56.52°, I = 16.8; (6 4 4), 72.12°, I = 15.9; (2 0 0), 16.41°, I = 13.3

***

Record 3
Starting from the PBE geometry in Alexandria, the PXRD pattern of HfAuC was computed for Cu Kα.
Lines closer than 0.1° are merged.

Cell: 3.7945 3.7945 24.8638 Å, 90.00 90.00 120.00°
Space group R-3m (No. 166, hexagonal axes)
One atom of each set of equivalent atoms:
Hf: 0.0000 0.0000 0.1202 x6
Au: 0.0000 0.0000 0.2971 x6
C: 0.0000 0.0000 0.2080 x6

Largest 10 diffraction maxima, in order of falling intensity, 2θ from 10° to 90°:
(0 1 5), 32.66°, I = 100.0; (1 1 0), 47.95°, I = 47.3; (1 0 7), 37.28°, I = 44.0; (0 1 2), 28.09°, I = 36.6; (1 1 12), 66.86°, I = 30.2; (1 0 10), 45.76°, I = 24.1; (2 0 5), 59.23°, I = 18.9; (0 0 12), 43.69°, I = 17.8; (1 2 5), 79.55°, I = 16.7; (0 1 17), 70.47°, I = 12.7

***

Record 4
Starting from the PBE geometry in Alexandria, the PXRD pattern of Zr2TlHg was computed for Cu Kα.
Lines closer than 0.1° are merged.

Cell: 6.417 8.682 3.185 Å, 90.00 90.00 90.00°
Space group Cmmm (No. 65)
One atom of each set of equivalent atoms:
Zr: 0.250 0.250 0.000 x4
Tl: 0.000 0.000 0.500 x2
Hg: 0.000 0.500 0.500 x2

Largest 10 diffraction maxima, in order of falling intensity, 2θ from 10° to 90°:
(2 2 0), 34.77°, I = 100.0; (0 2 1), 34.94°, I = 98.7; (2 0 1), 39.88°, I = 68.7; (2 4 1), 59.00°, I = 43.7; (0 4 0), 41.61°, I = 30.5; (4 2 1), 69.03°, I = 27.3; (2 2 2), 69.35°, I = 26.9; (0 2 0), 20.46°, I = 23.1; (2 2 1), 45.23°, I = 13.3; (2 6 0), 71.53°, I = 12.3

----------
+++
Crying 'Wolf!' -- or 'Detroit!' -- has to end for Chicago...
The notion that Rahm Emanuel or any other loyal servant of the plutocracy might try to deliberately bankrupt a city as solvent and wealthy as Chicago -- or Chicago's public school district -- is outrageous even given Rahm's penchants and plutocratic puerilities. Not only the "narrative" about government spending, but the priorities now must change. The era of Grover Nordquist, Ayn Rand, and the sage of the bubble bath Alan Greenspan is clearly ending, even if the Obamas and Clintons and other disciples of the Atlas Shrugged version of reality are still firmly in political power.
For Chicago, it's worth remembering that Rahm's first flirtatious with power came at City Hall under Richard M. Daley and then during those dismal reactionary years at the White House during Bill Clinton. The vicious attacks on working class and poor people that Rahm helped facilitate from the 1990s onward include not only "pension reform," but "welfare reform" and "housing reform." The Big Three. The millions of children who have suffered and died since Rahm, the Clintons, Barack Obama, the Bushes and all those other reactionaries are now going to come forward to haunt the lies and the liars.
Only the Iraq debacle has been more murderous, but unlike the three "reforms," the Bush - Obama wars in Iraq killed people far from home. I'm thinking right now about Rahm's "Fuck You!" to anti-war protesters who went to his office when he was our Congressman (Illinois, 5th). Despite the fact that the majority of the voters and others in Rahm's Congressional District clearly opposed the invasion of Iraq and its murderous results, Rahm stood firmly on the side of the reactionaries. Now justice begins.
By: John Kugler
You Never Know...
...with these assholes running city hall and the schools. The people I meet who are upper management are all from other bankrupt districts or cities. Either they cannot find another job or they are being hired to do a number on Chicago. Any Chicagoan that I talk to in CPS agrees that upper management in CPS has no idea what they are doing.
Take for example of the move to the new CPS headquarters. Instead of the logical move during the summer when schools are closed and things are slow. I here that the move will happen during the school year starting in November, when it will be the most disruptive. Go figure.
By: Rod Estvan
the supreme court ruling and the pension fix
In its decision today in Kanerva vs. Weems the Illinois Supreme Court clearly ruled that health care for retired teachers in the TRS were covered under the IL constitution writing: "article XIII, section 5, its plain and ordinary meaning, all of these benefits, including subsidized health care, must be considered to be benefits of membership in a pension or retirement system of the State and, therefore, within that provisions protections." I will admit I was surprised, especially because Republican justices totally supported protecting the benefits. But after all judges too get public retirement benefits.
Clearly this ruling will apply to retired CPS teachers. So a big part of any "reform" of retiree benefits has been taken off the table. Other aspects of benefits may also be protected including cost of living increases, but additional litigation relating to those issues are pending.
CPS needs to change its narrative, because trying to balance future budgets on reductions to retirees benefits may not be an option. The CTU has put forward several proposals which would be hard to pass to generate revenue. The idea of going beyond the current property tax cap is not popular at all with Chicagoans, but could happen.
CPS may have to impose severe austerity on schools to keep the ship upright, that would have to include imposing it on charter schools some of which might go bankrupt. I am glad for retirees whose earned benefits are being protected, but the future is very cloudy.
Because non-retired teachers are not protected I expect yet a new wave of retirements statewide. Getting out while the getting is good is not a bad idea, but its very bad for students.
CPS and Mayor Emanuel put all of their eggs in reducing pension benefits and their gambit may just have failed. Its time to think about taxes, including a few CTU suggested even though to be honest they would be really difficult to enact.
But then again the cynic in me says if CPS does nothing and lets the school district fiscally collapse then they can try the Detroit bankruptcy card to get out from all of this. Its not at all clear the school district's creditors would go along with such a plan because its their money too and the courts in Illinois are not those of Michigan either. The future is going to be both scary and interesting.
Rod Estvan
Rod Estvan